The Climate Bonus

Book description

We urgently need to transform to a low carbon society, yet our progress is painfully slow, in part because there is widespread public concern that this will require sacrifice and high costs. But this need not be the case. Many carbon reduction policies provide a range of additional benefits, from reduced air pollution and increased energy security to financial savings and healthier lifestyles, that can offset the costs of climate action.

This book maps out the links between low carbon policies and their co-benefits, and shows how low carbon policies can lead to cleaner air and water, conservation of forests, more sustainable agriculture, less waste, safer and more secure energy, cost savings for households and businesses and a stronger and more stable economy. The book discusses the ways in which joined-up policies can help to maximise the synergies and minimise the conflicts between climate policy and other aspects of sustainability.

'''
Compound: Na2Ce2Pb3
Source: Alexandria
Functional: PBE
Structure: optimized geometry

```
data_Na2Ce2Pb3
_symmetry_space_group_name_H-M 'C m m m'
_symmetry_Int_Tables_number 65
_symmetry_space_group_name_Hall '-C 2 2'
_cell_length_a 3.5724
_cell_length_b 34.2104
_cell_length_c 3.5307
_cell_angle_alpha 90.00
_cell_angle_beta 90.00
_cell_angle_gamma 90.00
loop_
_atom_site_label
_atom_site_fract_x
_atom_site_fract_y
_atom_site_fract_z
Na1 0.0000 0.2013 0.0000
Ce1 0.0000 0.0681 0.0000
Pb1 0.0000 0.3630 0.5000
Pb2 0.0000 0.5000 0.5000
```

Values from the calculation:
V (Å³ per atom): 30.8

***

Compound: ErFeGe2Os
Source: Alexandria
Functional: PBE
Structure: optimized geometry

```
data_ErFeGe2Os
_symmetry_space_group_name_H-M 'I -4 m 2'
_symmetry_Int_Tables_number 119
_symmetry_space_group_name_Hall 'I -4 -2'
_cell_length_a 4.0596
_cell_length_b 4.0596
_cell_length_c 10.3236
_cell_angle_alpha 90.00
_cell_angle_beta 90.00
_cell_angle_gamma 90.00
loop_
_atom_site_label
_atom_site_fract_x
_atom_site_fract_y
_atom_site_fract_z
Er1 0.0000 0.0000 0.0000
Fe1 0.0000 0.5000 0.2500
Ge1 0.0000 0.0000 0.3778
Os1 0.0000 0.5000 0.7500
```

Values from the calculation:
V (Å³ per atom): 17.0

***

| no. | total magnetization (μB per formula unit) | ΔH_f (0 K) (eV/f.u.) |
| --- | --- | --- |
| 1 | 2.52 | -1.82 |
| 2 | 1.51 | -1.99 |

* * * * *

Below is LiAgBRu2 after structural relaxation, with properties calculated at the GGA-PBE level.

Cell and atoms, written as extended XYZ:
```
5
Lattice="-0.3357 2.6586 -3.0867 -3.6918 -1.9828 -1.3063 -2.1855 2.4962 2.3877" Properties=species:S:1:pos:R:3 pbc="T T T"
Ru -1.0927 1.2481 1.1939
Ru -0.1679 1.3293 -1.5433
B 0.0000 0.0000 0.0000
Ag -1.8459 -0.9914 -0.6531
Li -3.1065 1.5860 -1.0026
```

Output
total DFT energy (no corrections) = -5.6522 eV per atom


Below is In2SiNi after structural relaxation, with properties calculated at the GGA-PBE level.

Cell and atoms, written as extended XYZ:
```
4
Lattice="3.0674 0.0000 0.0000 0.0000 2.8926 0.6392 0.0000 4.0209 9.3611" Properties=species:S:1:pos:R:3 pbc="T T T"
In 0.0000 0.6505 0.5218
In 0.0000 2.8062 4.4783
Ni 1.5337 1.7284 2.5001
Si 1.5337 5.1851 7.5002
```

Output
formation energy without anion corrections = 0.176 eV per atom
total DFT energy (no corrections) = -3.9938 eV per atom


Q: Look up the total DFT energy (no corrections) of the first one.
A: -5.6522 eV per atom

* * * * *

PmNiF6 (PBE with a Hubbard U, optimized geometry); total magnetic moment = 3.1 Bohr magnetons per cell; space group = P-1 (2); final energy = -5.18 eV per atom; crystal system = triclinic
1.0
-0.7683 -4.1548 -3.2019
2.2680 -4.7736 1.2309
-3.5174 -4.1279 1.8873
F Pm Ni
6 1 1
Direct
0.8991 0.6535 0.2308 F
0.1009 0.3465 0.7692 F
0.3526 0.7738 0.7755 F
0.7767 0.0947 0.7694 F
0.6474 0.2262 0.2245 F
0.2233 0.9053 0.2306 F
0.5000 0.5000 0.5000 Pm
0.0000 0.0000 0.0000 Ni

* * * * *

(1)
BC: optimized geometry, PBE.

POSCAR file:
```
BC
1.0
-1.230 1.738 -1.501
-2.969 0.215 2.684
2.480 3.857 2.434
B C
'''

Through rigorous analysis of the facts, the author presents well-reasoned and evidenced recommendations for policy-makers and all those with an interest in making a healthier and happier society. This book shows us how, instead of being paralysed by the threat of climate change, we can use it as a stimulus to escape from our dependence on polluting fossil fuels, and make the transition to a cleaner, safer and more sustainable future.

These records of crystals were left in the page by mistake >
=====
Here is a geometry-optimized Tm4PaSb5 structure from the Alexandria database. Energies are from GGA-PBE.

abc: 4.3370 7.5274 9.7063
angles: 75.23 77.09 73.26
Last column: nearest neighbours and their distance in Å.
Positions (direct):
1 Tm 0.5991 0.2036 0.5982  6 Sb 3.05-3.08
2 Tm 0.1994 0.3973 0.2040  6 Sb 3.04-3.09
3 Tm 0.8006 0.6027 0.7960  6 Sb 3.04-3.09
4 Tm 0.4009 0.7964 0.4018  6 Sb 3.05-3.08
5 Pa 0.0000 0.0000 0.0000  6 Sb 3.08-3.10
6 Sb 0.1998 0.9024 0.6980  5 Tm 3.05-3.08, 1 Pa 3.08
7 Sb 0.8002 0.0976 0.3020  5 Tm 3.05-3.08, 1 Pa 3.08
8 Sb 0.3979 0.3049 0.8994  4 Tm 3.07-3.09, 2 Pa 3.10
9 Sb 0.0000 0.5000 0.5000  6 Tm 3.04-3.05
10 Sb 0.6021 0.6951 0.1006  4 Tm 3.07-3.09, 2 Pa 3.10

Total moment   0.90 μB/f.u.
V   289.5 Å³ per cell
Energy relative to the elements, uncorrected   -0.9375 eV/atom

~~~~~

1.
The following is a PBE calculation of a relaxed BaSrCl2 crystal, from Alexandria.

abc: 5.569 5.569 5.569
angles: 60.00 60.00 60.00
Element x y z (fractional)
Ba1 0.500 0.500 0.500
Cl1 0.250 0.250 0.250
Cl2 0.750 0.750 0.750
Sr1 0.000 0.000 0.000

## Properties
- Energy: -0.23703 Ry/atom
- Energy above the most stable polymorph in this dataset: 0.367 eV/atom
- Formation energy (no corrections): -1.40 eV per atom
- V: 30.52 Å³ per atom
- Total moment: 0.429 μB per atom
- Theoretical density: 4.02 Mg/m³

=====

2.
The following is a PBE calculation of a relaxed BaSr2Cl crystal, from Alexandria.

abc: 7.129 7.129 4.211
angles: 90.00 90.00 114.66
Element x y z (fractional)
Sr1 0.500 0.500 0.000
Sr2 0.000 0.000 0.000
Ba1 0.500 0.000 0.500
Cl1 0.000 0.500 0.500

## Properties
- Energy: -0.16432 Ry/atom
- Energy above the most stable polymorph in this dataset: 0.375 eV/atom
- Formation energy (no corrections): -0.45 eV per atom
- V: 48.62 Å³ per atom
- Total moment: 0.000 μB per atom
- Theoretical density: 2.97 Mg/m³

=====

3.
The following is a PBE calculation of a relaxed Ba2SrCl crystal, from Alexandria.

abc: 6.701 6.701 6.701
angles: 60.00 60.00 60.00
Element x y z (fractional)
Ba1 0.250 0.250 0.250
Ba2 0.750 0.750 0.750
Sr1 0.500 0.500 0.500
Cl1 0.000 0.000 0.000

## Properties
- Energy: -0.15864 Ry/atom
- Energy above the most stable polymorph in this dataset: 0.534 eV/atom
- Formation energy (no corrections): -0.31 eV per atom
- V: 53.19 Å³ per atom
- Total moment: 0.000 μB per atom
- Theoretical density: 3.10 Mg/m³

=====

4.
The following is a PBE calculation of a relaxed BaSr2Cl crystal, from Alexandria.

abc: 6.688 6.688 6.688
angles: 60.00 60.00 60.00
Element x y z (fractional)
Ba1 0.500 0.500 0.500
Sr1 0.750 0.750 0.750
Sr2 0.250 0.250 0.250
Cl1 0.000 0.000 0.000

## Properties
- Energy: -0.14654 Ry/atom
- Energy above the most stable polymorph in this dataset: 0.616 eV/atom
- Formation energy (no corrections): -0.21 eV per atom
- V: 52.88 Å³ per atom
- Total moment: 0.000 μB per atom
- Theoretical density: 2.73 Mg/m³
=====

Table of contents

  1. Cover
  2. Title
  3. Copyright
  4. Contents
  5. List of figures
  6. List of tables
  7. List of boxes
  8. Acknowledgements
  9. A note on units
  10. Abbreviations
  11. 1 Introduction
  12. 2 The big picture: how climate policies are linked to co-benefits
    1. Fossil fuels and industrial processes
    2. Land use and agriculture
      1. Forest protection
      2. Agriculture
    3. Waste management
    4. Grouping the co-benefits
  13. 3 Cleaner air: cutting fossil fuel pollution
    1. Acid, dust and ozone: the downside of fossil fuels
      1. Health effects
      2. Ecosystem effects
      3. The big clean-up: is it working?
    2. Relevant climate policies
      1. Cutting energy consumption
      2. Low-carbon energy
      3. Emission controls
      4. Forests and other land-use changes
    3. Co-benefits
      1. Health benefits in the UK
      2. Health and ecosystem benefits in Europe
      3. Health and ecosystem benefits worldwide
      4. Methane, ozone and black carbon
      5. Indoor air pollution
    4. Conflicts
      1. End-of-pipe solutions
      2. Diesel for transport
      3. Air pollution from biofuels
      4. Nuclear pollution
      5. Geo-engineering
    5. The way forward
  14. 4 Greener land: forests, food and farming
    1. Relevant climate policies
      1. Protecting and increasing forest carbon
      2. Increasing carbon stored in agricultural soils
      3. Agroforestry and perennial crops
      4. Reduced emissions from nitrogen fertilisers
      5. Reducing methane emissions
      6. Bioenergy
      7. Improving yields
      8. Eating less meat and dairy produce
    2. Co-benefits
      1. Forests
      2. Agriculture
    3. Conflicts
      1. Problems with forest carbon schemes
      2. Bioenergy and biochar
      3. Feeding the world
    4. The way forward
      1. Food, fuel, forests: a balanced approach to land use
      2. Valuing ecosystems: making REDD work
      3. Sustainable biofuels
      4. Sustainable food
  15. 5 Secure and safe energy: adapting to Peak Oil
    1. Cheap energy – the end of an era?
      1. Peak Oil
      2. Peak Gas
      3. Peak Coal
      4. Market concentration: who’s got the power?
      5. Diminishing returns: the EROI problem
      6. Energy crunch: growing demand; inadequate investment
    2. Relevant climate policies
      1. Cutting energy consumption
      2. Renewables
      3. Nuclear
      4. Fuel switching
    3. Co-benefits
      1. Secure energy
      2. Affordable energy
      3. Safe, clean, sustainable energy
      4. Energy access for all
    4. Conflicts
      1. Fossil fuels: ‘Drill, baby, drill!’?
      2. Nuclear power
      3. Variable renewables: what happens when the wind stops?
      4. Biofuels
      5. Other impacts of renewables
    5. The way forward
  16. 6 Less waste: a resource-efficient economy
    1. Materials: a hidden source of carbon emissions
      1. Trends in material use
      2. Carbon omissions
      3. The material efficiency challenge
    2. Relevant climate policies
      1. Recycling
      2. Reuse and re-manufacture
      3. Resource-efficient production
      4. Cutting consumer waste
      5. Dematerialising the economy
    3. Co-benefits
      1. Peak everything: conserving valuable resources
      2. Resource wars: reducing conflict
      3. Clean planet: reducing environmental and social impacts
      4. Less waste: reducing disposal problems
      5. Saving money: don’t waste our waste
      6. New businesses, happy customers
    4. Conflicts
      1. Rare metals for clean technology
      2. Trade and international development
    5. The way forward
      1. Resource sufficiency: living within our means
      2. Developing countries: escaping the resource curse
  17. 7 A stronger economy: long-term stability and prosperity
    1. Relevant climate policies
      1. Resource efficiency
      2. Low-carbon energy
      3. Lifestyle changes
      4. Caps and taxes
    2. Co-benefits
      1. Jobs
      2. Cost savings
      3. Competitiveness, innovation and new business opportunities
      4. A secure and stable economy
    3. Conflicts
      1. The cost barrier: can we afford the future?
      2. Competition: a mass exodus to pollution havens?
      3. Fuel poverty: hitting the poor hardest
      4. Developing countries: catch-up or leapfrog?
      5. Cost savings versus carbon savings: the rebound effect
      6. Is endless growth possible? The 9-billion-tonne hamster says no
    4. The way forward
      1. Safe carbon limits
      2. Mobilising investment in low-carbon technologies
      3. Cushioning the transition
      4. New economic thinking
  18. 8 Health and well-being: benefits of a low-carbon lifestyle
    1. Relevant climate policies
      1. Eating better
      2. Driving less
      3. Less materialistic lifestyles
    2. Co-benefits
      1. Health and fitness
      2. Safer, quieter streets
      3. Stronger communities
      4. Beyond shopping: buy less, work less, be happy?
    3. Conflicts
    4. The way forward
      1. Promoting lifestyle changes
      2. Encouraging low-impact diets
      3. Enabling sustainable travel choices
      4. Achieving a better work–life balance
  19. 9 Joining the dots
    1. The Climate Bonus
    2. Health and well-being: the heart of sustainability
    3. Looking at the big picture
    4. A tale of two strategies
      1. Isolated policies: fossil fuel lock-in
      2. Joined-up policies: a green economy
    5. An integrated policy framework
      1. General policies
      2. Specific areas
  20. Notes
  21. References
  22. Index

Product information

  • Title: The Climate Bonus
  • Author(s): Alison Smith
  • Release date: June 2013
  • Publisher(s): Routledge
  • ISBN: 9781136271151